**Activity:**
The reader should duplicate all of the lines underneath with every line break kept.
**Excerpt:**
+++
! FeSiHgBiH, relaxed, DFT PBE-GGA; values from VASP
! Symmetry ... P1 (1)
! Total magnetic moment ... 0.000 Bohr magnetons per cell
! E above lowest polymorph ... 0.024 eV per atom
! E_tot ... -4.1424 eV per atom
&SYSTEM
  ibrav = 0, nat = 5, ntyp = 5
/
ATOMIC_SPECIES
Si 28.09 Si.upf
Bi 208.98 Bi.upf
Fe 55.84 Fe.upf
H 1.01 H.upf
Hg 200.59 Hg.upf
CELL_PARAMETERS angstrom
-3.455 1.579 -0.844
-1.645 -0.708 -3.548
-4.821 -4.548 2.270
ATOMIC_POSITIONS angstrom
Si -4.859 -3.468 1.132
Bi -5.656 -1.573 -1.028
Fe -8.156 -2.710 -1.887
H -8.785 -3.310 -0.565
Hg -2.844 0.060 -0.522

~~~~~

The following is a PBE calculation of NaSnMo2W after structural relaxation, from Alexandria via LeMat-Bulk.

Lattice parameters (Å, degrees): 4.6087 4.6162 4.6087 90.00 90.00 90.00
Closest atoms and distances in Å follow each position.
Sites, in units of the cell vectors:
1 Na 0.0000 0.0000 0.0000  4 Mo 2.30, 2 W 2.31
2 W 0.0000 0.5000 0.0000  2 Na 2.31
3 Mo 0.0000 0.0000 0.5000  2 Na 2.30
4 Sn 0.5000 0.5000 0.5000  4 W 3.26, 8 Mo 3.26
5 Mo 0.5000 0.0000 0.0000  2 Na 2.30

Computed properties:
Final energy (eV for the cell shown): -27.6
Space group: P4/mmm
DFT formation energy (meV per atom): 2462
+++
**Solution:**
! FeSiHgBiH, relaxed, DFT PBE-GGA; values from VASP
! Symmetry ... P1 (1)
! Total magnetic moment ... 0.000 Bohr magnetons per cell
! E above lowest polymorph ... 0.024 eV per atom
! E_tot ... -4.1424 eV per atom
&SYSTEM
  ibrav = 0, nat = 5, ntyp = 5
/
ATOMIC_SPECIES
Si 28.09 Si.upf
Bi 208.98 Bi.upf
Fe 55.84 Fe.upf
H 1.01 H.upf
Hg 200.59 Hg.upf
CELL_PARAMETERS angstrom
-3.455 1.579 -0.844
-1.645 -0.708 -3.548
-4.821 -4.548 2.270
ATOMIC_POSITIONS angstrom
Si -4.859 -3.468 1.132
Bi -5.656 -1.573 -1.028
Fe -8.156 -2.710 -1.887
H -8.785 -3.310 -0.565
Hg -2.844 0.060 -0.522

~~~~~

The following is a PBE calculation of NaSnMo2W after structural relaxation, from Alexandria via LeMat-Bulk.

Lattice parameters (Å, degrees): 4.6087 4.6162 4.6087 90.00 90.00 90.00
Closest atoms and distances in Å follow each position.
Sites, in units of the cell vectors:
1 Na 0.0000 0.0000 0.0000  4 Mo 2.30, 2 W 2.31
2 W 0.0000 0.5000 0.0000  2 Na 2.31
3 Mo 0.0000 0.0000 0.5000  2 Na 2.30
4 Sn 0.5000 0.5000 0.5000  4 W 3.26, 8 Mo 3.26
5 Mo 0.5000 0.0000 0.0000  2 Na 2.30

Computed properties:
Final energy (eV for the cell shown): -27.6
Space group: P4/mmm
DFT formation energy (meV per atom): 2462